Along with the numerous statements of great, indeed fundamental theological importance, the Holy Bible also contains a truism of great value:
The text is interrupted by molecular data.
-- begin --
No. 1
{
  "formula": "C5H8N2",
  "method": "ωB97M-V with the def2-TZVPD basis set",
  "relative_energy_kj_mol": 209.7,
  "lumo_energy_ha": 0.0354,
  "smiles": "[H]/N=C/C(N)=C=CC",
  "homo_ev": -8.39,
  "elements": ["C", "C", "C", "C", "N", "C", "N", "H", "H", "H", "H", "H", "H", "H", "H"],
  "positions_angstrom": [[-0.082, 0.914, -2.446], [0.827, 0.518, -1.312], [0.449, 0.302, -0.081], [0.131, -0.047, 1.149], [0.337, 0.742, 2.308], [-0.396, -1.409, 1.411], [-0.910, -2.121, 0.492], [-1.121, 0.983, -2.115], [0.217, 1.868, -2.894], [-0.026, 0.152, -3.232], [1.876, 0.352, -1.566], [-0.501, 0.840, 2.872], [0.699, 1.661, 2.085], [-0.308, -1.727, 2.460], [-1.193, -3.027, 0.868]],
  "forces_ev_per_angstrom": [[-0.076, 0.035, -0.020], [-0.029, -0.079, 0.176], [0.068, 0.000, -0.020], [0.036, -0.047, -0.316], [-0.102, 0.189, -0.021], [-0.048, -0.077, -0.188], [0.110, 0.051, 0.398], [0.160, 0.019, -0.025], [-0.020, -0.126, 0.090], [-0.016, 0.125, 0.106], [-0.124, -0.022, 0.052], [0.079, -0.020, -0.065], [-0.042, -0.107, 0.020], [-0.018, -0.012, -0.143], [0.020, 0.071, -0.043]]
}

***

No. 2
{
  "formula": "C8H10O",
  "method": "ωB97M-V with the def2-TZVPD basis set",
  "relative_energy_kj_mol": 236.7,
  "lumo_energy_ha": 0.0012,
  "smiles": "C=C1C(=O)C=CC1(C)C",
  "homo_ev": -9.20,
  "elements": ["C", "C", "C", "C", "C", "C", "C", "C", "O", "H", "H", "H", "H", "H", "H", "H", "H", "H", "H"],
  "positions_angstrom": [[1.666, -1.436, 0.101], [0.337, -1.544, 0.114], [2.186, -0.104, -0.038], [0.683, 0.802, -0.015], [0.591, 2.122, 0.070], [-0.288, -0.236, 0.005], [-1.062, -0.246, -1.380], [-1.455, -0.036, 1.119], [3.309, 0.329, -0.010], [2.405, -2.222, -0.001], [-0.256, -2.376, 0.395], [-0.321, 2.680, 0.248], [1.488, 2.742, 0.231], [-1.899, -0.866, -1.081], [-0.542, -0.772, -2.156], [-1.475, 0.785, -1.624], [-2.189, 0.779, 0.701], [-1.071, 0.510, 1.985], [-2.108, -0.909, 1.336]],
  "forces_ev_per_angstrom": [[0.995, -1.998, -0.960], [1.828, 0.765, 1.181], [-2.192, 3.299, 0.586], [4.466, 0.266, 0.239], [0.823, 0.166, 0.919], [-5.051, 0.337, -0.363], [-1.197, 0.710, 1.589], [-0.648, 2.237, -1.717], [-0.839, -0.450, -0.291], [-0.239, -0.353, 0.519], [-0.279, -0.944, -0.373], [-0.315, -0.272, -0.273], [-0.252, -0.507, -0.539], [-0.620, -0.192, -0.677], [0.471, 0.265, -0.591], [0.820, -1.372, 0.066], [1.198, -1.524, 0.448], [0.148, -0.794, 0.276], [0.884, 0.360, -0.040]]
}

***

No. 3
{
  "formula": "C3H7N3OS",
  "method": "ωB97M-V with the def2-TZVPD basis set",
  "relative_energy_kj_mol": 257.0,
  "lumo_energy_ha": 0.0155,
  "smiles": "[H]/N=C(\\NN)SC(C)=O",
  "homo_ev": -9.82,
  "elements": ["C", "C", "C", "H", "H", "H", "H", "H", "H", "H", "N", "N", "N", "O", "S"],
-- stop --
By their fruits you shall you know them. (Matt 7:20)
Given during the Great Sermon, it is a standard we can use to discern, decode or measure beliefs and opinions to determine their worth, intent and morality. It is a concise and practical tool given by Jesus, which anyone can use no matter their situation or education; described by John Wesley as a short, plain, easy rule to distinguish true from false prophets.
So let’s first look at supposed democracy. While the ‘tree’ of democracy is allegedly ‘for the people by the people’ it is usually not the case due to the fragmented party-political systems most countries operate under. As many democracies can govern with less the half the votes cast, the majority of the electorate is effectively disenfranchised. Over the last few years with lockdowns and mandates, most elected governments have, in essence, operated a form of dictatorship. In terms of democracy as a balanced and just form of government for all, its ‘fruit’ is for all intents and purposes corrupt. And much of the fruit of governments has gotten a whole lot worse since then.
As far as the movies are concerned its damaged fruit is pretty obvious, there are so many examples it’s not possible to list them all. And while the feature of the Harry Potter movies, for example, is bravery, friendship, and self-sacrifice, their fruit is the promotion of witches, wizardry and baffling messages for at risk minds. The Back to the Future trilogy has a young Michael J. Fox blaspheming the name of Jesus on a regular basis letting everyone know it’s OK. He is not alone. The Holy Name of Jesus is commonly abused in film and television displaying the foulness of its crop.
As for the theology of the church when compared to the Gospel, bad fruit abounds; the first and most significant, the trinity creed. Every denomination has tainted fruit of one type or other, and each has strayed from the truth of Christ and the Gospel in some respect. Some directly oppose the sound teaching and principles of Jesus and the Apostles, while others simply ignore it. The thing to be alert to is the ounce of poison in a lake of truth, and why Jesus gave us this way of sorting the good from the bad, and how to recognize wolves dressed as sheep.
Now, while we have taken a brief look at the fruit of church and worldly things, we must look at our own fruit also. Is it of profit to those around us? Do we live by the command to love our neighbour or is it time for some reflection. As Paul reminds us: what fruit had ye then in those things whereof ye are now ashamed? (Rom 6:21) But as we see in Galatians (5:22-23) he outlines the fruit of the Spirit as opposed to the flesh, which fall subject to the laws of men. Conversely, Godly fruit is not condemned being of the Spirit: ye also are become dead to the law by the body of Christ; (Rom 7:4)
## Inserted here: molecular data
=====
Entry 1:
The following is a quantum chemistry calculation of C27H53BO11P as an isolated structure at a distorted geometry, from the Open Molecules 2025 dataset.

Geometry as ORCA input:
```
! wB97M-V def2-TZVPD RIJCOSX def2/J DEFGRID3
* xyz -1 1
P -1.499 1.503 1.342
O 5.997 -0.717 2.795
O -4.661 2.894 -0.192
O -7.651 -0.724 -3.229
O -0.106 -3.627 -3.113
O 0.409 -5.710 -3.787
O 1.580 -2.513 2.070
O 0.046 1.568 0.478
O -3.435 1.284 -1.194
O -0.334 -2.209 3.541
O -6.400 -2.322 -4.195
O -0.942 0.380 2.570
C 0.835 -3.656 -0.962
C 3.557 4.383 1.681
C 1.848 0.177 -0.123
C -7.938 -3.136 -5.767
C -7.497 -1.530 -4.098
C -5.487 1.847 -2.205
C -5.021 0.507 -2.740
C 0.521 -4.821 -2.991
C 2.451 3.483 2.304
C 0.108 3.172 3.184
C 5.176 2.323 1.952
C 2.445 -2.679 3.224
C 0.405 0.177 0.508
C 5.103 -0.821 1.689
C 0.283 -0.168 2.059
C 4.802 3.597 1.142
C 5.310 -0.488 4.015
C -4.522 2.090 -1.065
C -3.544 0.526 -2.403
C -1.226 3.103 2.355
C -8.432 -1.794 -5.252
C 1.143 4.252 2.694
C 1.388 -4.829 -1.755
C 5.493 0.154 0.518
C 6.155 1.463 1.043
C -6.467 -3.097 -5.401
C 0.321 -2.744 -2.057
B 0.532 -1.671 2.532
H 3.503 -2.655 2.898
H -5.370 2.645 -2.942
H 6.067 -0.163 4.754
H 4.682 3.405 0.055
H 1.758 -0.249 -1.152
H 3.845 5.220 2.356
H -5.220 0.361 -3.802
H -8.112 -3.293 -6.832
H -6.513 1.807 -1.846
H 4.570 0.337 3.937
H 2.236 1.203 -0.276
H 5.674 4.288 1.223
H -8.433 -3.944 -5.223
H -0.168 -0.504 -0.151
H -8.311 -1.001 -5.993
H 2.560 -0.481 0.419
H -5.861 -2.603 -6.166
H 2.862 2.981 3.211
H 2.427 -4.668 -2.051
H -6.060 -4.090 -5.218
H -2.118 3.313 2.979
H 0.002 -3.993 -0.340
H 6.197 -0.403 -0.136
H 1.406 4.896 3.564
H 7.109 1.226 1.546
H -2.015 2.352 0.304
H 1.287 -5.769 -1.217
H 4.322 1.663 2.176
H 4.829 -1.420 4.380
H -0.520 -2.136 -1.728
H 3.096 4.884 0.797
H 4.092 -0.497 2.029
H -1.181 3.939 1.616
H 5.019 -1.876 1.358
H -0.172 3.461 4.227
H 2.188 -3.585 3.799
H 1.100 -2.086 -2.449
H 2.291 -1.785 3.878
H -5.515 -0.296 -2.195
H -3.148 -0.476 -2.238
H 6.418 2.058 0.139
H -1.986 0.344 0.607
H 0.807 4.850 1.828
H 1.210 0.356 2.453
H 5.772 2.581 2.849
H 1.565 -3.179 -0.311
H -2.855 1.507 1.903
H -2.947 1.019 -3.178
H 0.644 2.211 3.272
H 2.218 2.659 1.591
H -9.464 -1.842 -4.913
H 4.587 0.364 -0.090
H -1.125 -2.560 3.133
*
```

Calculated values
maximum force: 4.782 eV/Å
Kohn-Sham gap: 5.51 eV
LUMO energy: 2.0 eV
E: -2254.42115 Eh
energy relative to the best compared isomer or geometry (same formula, charge and spin): 188.1 kJ/mol

Entry 2:
The following is a quantum chemistry calculation of a 4-piece molecular cluster, C27H53BrN2O13 overall at a distorted geometry, from the Open Molecules 2025 dataset.

Geometry as ORCA input:
```
! wB97M-V def2-TZVPD RIJCOSX def2/J DEFGRID3
* xyz 0 1
Br -3.312 3.879 3.317
O 4.229 -1.346 -9.067
O -1.928 -5.643 3.577
O -1.388 -0.846 -4.986
O 0.204 1.682 1.229
O 2.383 -0.660 -10.174
O -1.735 1.556 3.224
O 3.024 4.891 3.597
O 4.951 5.775 2.816
O 2.297 -2.001 -8.357
O -1.204 -0.365 -7.187
O -1.917 -2.322 -6.613
O 4.552 5.454 5.017
=====
Of the Holy Bible, it has wonderful fruit in abundance from which we should take freely each day. It is the source of truth and life through the Spirit in it, the LORD Jesus Christ, thus we can in confidence eat of this tree without fear, and are in fact encouraged to. It is the fruit of promise, the fruit of prophesy, it reveals the fullness of love from the LORD and His Christ for all mankind.
Inserted here: molecular data:
-- begin --
62
Properties=species:S:1:pos:R:3 method="wB97M-V/def2-TZVPD" lumo_ev=-0.7 total_charge=0 homo_energy_ev=-9.00 homo_lumo_gap_ev=8.27 spin_multiplicity=1 e_tot_ha=-2180.5653 smiles="O=C(I)C[SiH2]CCCS(=O)(=O)O.C1CCOC1.C1CCOC1.C1CCOC1"
O -0.78439 4.94148 6.01185
C -1.90173 4.34123 6.49545
I -3.45550 3.89053 4.96692
C -2.05424 3.95418 8.08170
Si -1.76475 2.08928 8.47819
C -0.16866 1.33183 7.71231
C -0.03419 1.48628 6.08577
C 0.34267 0.04891 5.31833
S -1.03283 -1.24079 5.48690
O -0.61685 -2.28249 6.56836
O -1.06564 -1.98910 4.09847
O -2.58846 -0.57737 5.70274
H -1.38135 4.70055 8.70045
H -3.17508 4.19230 8.41289
H -2.99247 1.33010 8.19395
H -1.59188 2.00794 9.95108
H -0.20466 0.16151 7.93980
H 0.75615 1.75716 8.31819
H 0.91866 2.18032 5.89750
H -0.99517 1.88112 5.54181
H 1.37129 -0.39863 5.67812
H 0.37480 0.31875 4.15627
H -2.70614 0.29893 5.23152
C -2.28966 -2.12126 0.34874
C -1.01670 -2.60056 0.99726
C 0.01959 -2.26591 -0.05333
O -0.45561 -1.10714 -0.75231
C -1.82407 -0.88311 -0.38576
H -3.09520 -1.91797 1.05886
H -2.64531 -2.87007 -0.36899
H -0.82463 -2.02257 1.90892
H -1.02972 -3.66109 1.26112
H 0.12297 -3.07676 -0.78216
H 1.00262 -2.05776 0.37886
H -1.85576 -0.00143 0.26360
H -2.41699 -0.67836 -1.28142
C 0.92694 -1.93310 -5.13359
C 0.66890 -2.59383 -3.80409
C 0.24345 -3.98537 -4.21912
O 0.92373 -4.27964 -5.44702
C 1.51179 -3.06935 -5.94363
H 1.59100 -1.06721 -5.07256
H -0.02182 -1.60780 -5.57673
H 1.60045 -2.64419 -3.22809
H -0.08152 -2.08163 -3.19660
H -0.83319 -4.03015 -4.41454
H 0.49373 -4.74137 -3.46926
H 2.59547 -3.14151 -5.80062
H 1.30669 -2.97152 -7.01324
C 2.80352 3.10086 -6.81542
C 2.03860 2.74162 -8.06305
C 2.07396 1.22919 -8.03191
O 2.11355 0.84221 -6.65140
C 2.38063 2.00747 -5.85890
H 2.58553 4.10374 -6.43967
H 3.88084 3.03289 -7.00808
H 1.00356 3.09295 -7.97744
H 2.46712 3.15967 -8.97745
H 2.97852 0.84273 -8.51335
H 1.20198 0.77945 -8.51547
H 1.45610 2.27433 -5.33540
H 3.14935 1.77955 -5.11538


72
Properties=species:S:1:pos:R:3 method="wB97M-V/def2-TZVPD" lumo_ev=-0.3 total_charge=0 homo_energy_ev=-8.32 homo_lumo_gap_ev=8.04 spin_multiplicity=1 e_tot_ha=-1907.3234 smiles="Oc1ccc(O)cc1.NC(N)=O.NC(N)=O.NC(N)=O.NC(N)=O.NC(N)=O.CC#N.CC#N.CC#N"
C 0.56518 0.36576 -0.02040
O 1.09811 -0.29467 0.90047
N -0.53140 1.07122 0.11853
N 0.68385 -0.00337 -1.28906
H -0.67026 1.92388 -0.40472
H -1.03325 1.00465 0.99250
H 0.05478 0.45577 -1.93215
H 1.15740 -0.85195 -1.56435
C 1.95165 -4.43833 -1.46916
O 2.39199 -5.48926 -1.21869
N 0.70777 -4.19642 -1.77917
N 2.57282 -3.34189 -1.32947
H 0.26770 -5.04287 -2.11077
H 0.06970 -3.70854 -1.16684
H 2.35070 -2.55860 -1.92715
H 3.44865 -3.52741 -0.86192
C 3.28791 -2.54460 3.00408
O 4.14220 -3.42287 3.10774
N 2.70330 -2.34894 1.83609
N 2.92827 -1.70687 3.96055
H 2.08277 -1.57647 1.64033
H 3.02091 -2.85327 1.02069
H 1.98862 -1.36820 3.81066
H 3.47290 -1.75999 4.80947
C 2.96825 -0.51082 -3.88883
O 2.43173 -1.48521 -3.35258
N 4.21695 -0.42529 -4.27266
N 2.29604 0.64604 -4.10292
H 4.66629 0.47844 -4.23450
-- stop --
So let us be alert to the wiles of this world, armed with the tools given us by Jesus to discern the good from the bad that we do not become exposed to the duplicity of rulers, religions and men. Rather, by being grafted into the one true vine, let us bring forth its perfect fruit to clothe those around us by our charity and peace and in doing so: offer the sacrifice of praise to God continually, that is, the fruit of our lips giving thanks to His Name. (Hebrews 13:15)
In love and peace as always,